Just love people

Just recently we came out with another T-shirt on our shop (link above) designed with more of Liam’s cute artwork. “Just. Love. People.”


I just had to share where we got this phrase! Unfortunately, it won’t allow me to upload the video here, but check out our facebook page if you’d like to see the cute short clip @ https://www.facebook.com/lifeforliamandoliver.

Years ago, Liam would love to sing and dance (he stills dances) in the shower. I was able to capture the audio of him singing one day in the shower, “I just love people, I just love people…”, and ever since we’ll repeat that song of his when we remember it. He really does just LOVE people! It’s certainly one of my favorite attributes he has!

**Crystal structures that have nothing to do with the entry:**
********
# Li2Ni3BiO8
Simulated PXRD pattern, CuKα. Input: a cell relaxed with PBE+U.

Peak list (8 most intense, 10 to 80 degrees two-theta, by angle)
| 2θ (°) | I (rel.) |
| --- | --- |
| 18.3 | 100 |
| 20.9 | 19 |
| 34.1 | 23 |
| 35.1 | 46 |
| 37.1 | 17 |
| 42.5 | 40 |
| 47.5 | 15 |
| 60.3 | 13 |

Structural model:
a = 5.8975 Å, b = 5.8975 Å, c = 15.3523 Å
α = 90.00°, β = 90.00°, γ = 120.00°
Space group R-3m (No. 166, hexagonal axes)
Inequivalent atoms, fractional coordinates:
Li (0.0000, 0.0000, 0.1210) x6
Ni (0.0000, 0.5000, 0.0000) x9
Bi (0.0000, 0.0000, 0.5000) x3
O (0.0000, 0.0000, 0.2712) x6
O (0.0192, 0.5096, 0.2579) x18
********

The thing is, he loves people no matter what. I’m talking, strangers on the street, someone in the grocery store, a woman walking her dog,… LOVES them!

Funny side story to add here… We were doing the downtown Halloween trick or treat a couple years ago, and there was a guy from one of the businesses in a creepy costume trying to scare Liam… and Liam just said hello and wanted to chat with him… ummmm…

# Records of crystals from another source follow
- - -
1.
Computed powder X-ray diffraction pattern of Ce3SnBi2 for λ = 1.5418 Å (Cu Kα), from a DFT-relaxed cell (PBE, Alexandria).
No peak broadening, texture or thermal motion is included.

Principal peaks in the range 10° ≤ 2θ ≤ 80°, by angle:
two_theta  intensity
13.5  2
17.6  1
23.9  3
27.6  100
39.5  78
46.7  2
48.9  28
57.1  13
62.8  1
64.6  37
71.6  28
76.7  1

Crystal structure
```
12
Lattice="3.953 -6.845 0.000 3.953 6.845 0.000 -2.637 0.000 7.450" Properties=species:S:1:pos:R:3 pbc="T T T"
Ce 1.976 3.422 0.000
Ce 0.609 1.114 3.708
Ce -0.710 -1.114 7.433
Ce 0.658 -3.422 3.725
Ce 5.978 1.114 0.017
Ce 4.659 -1.114 3.742
Sn 3.293 5.668 1.863
Sn 1.975 -5.668 5.588
Bi 1.975 3.382 5.588
Bi 3.293 1.134 1.863
Bi 1.975 -1.134 5.588
Bi 3.293 -3.382 1.863
```

2.
Computed powder X-ray diffraction pattern of Ba2Al2BiO6 for λ = 1.5418 Å (Cu Kα), from a DFT-relaxed cell (PBE, Alexandria).
No peak broadening, texture or thermal motion is included.

Principal peaks in the range 10° ≤ 2θ ≤ 80°, by angle:
two_theta  intensity
17.8  65
25.4  40
29.1  100
29.9  89
39.7  28
42.3  41
51.2  20
52.6  39
53.1  39
62.2  17
68.9  17
70.1  17

Crystal structure
```
11
Lattice="2.986 1.724 6.343 -2.986 1.724 6.343 0.000 -3.448 6.343" Properties=species:S:1:pos:R:3 pbc="T T T"
Ba 0.000 0.000 3.924
Ba 0.000 0.000 15.103
Al 0.000 0.000 7.987
Al 0.000 0.000 11.040
Bi 0.000 0.000 0.000
O -1.490 -0.860 10.949
O 0.000 -1.720 8.079
O -1.490 0.860 8.079
O 1.490 -0.860 10.949
O 0.000 1.720 10.949
O 1.490 0.860 8.079
```

3.
Computed powder X-ray diffraction pattern of Mn3Fe5 for λ = 1.5418 Å (Cu Kα), from a DFT-relaxed cell (PBE, Alexandria).
No peak broadening, texture or thermal motion is included.

Principal peaks in the range 10° ≤ 2θ ≤ 80°, by angle:
two_theta  intensity
41.9  12
42.2  27
45.9  40
48.0  53
48.4  100
63.9  6
64.2  14
76.7  15
77.5  7

Crystal structure
```
8
Lattice="2.463 0.000 0.000 0.000 3.953 0.000 0.000 0.000 8.630" Properties=species:S:1:pos:R:3 pbc="T T T"
Mn 0.000 0.000 0.000
Mn 0.000 1.976 1.417
Mn 1.232 0.000 2.175
Fe 0.000 0.000 4.306
Fe 0.000 1.976 5.743
Fe 1.232 0.000 6.464
Fe 1.232 1.976 3.589
Fe 1.232 1.976 7.893
```

Copy entry 2 word for word.
Computed powder X-ray diffraction pattern of Ba2Al2BiO6 for λ = 1.5418 Å (Cu Kα), from a DFT-relaxed cell (PBE, Alexandria).
No peak broadening, texture or thermal motion is included.

Principal peaks in the range 10° ≤ 2θ ≤ 80°, by angle:
two_theta  intensity
17.8  65
25.4  40
29.1  100
29.9  89
39.7  28
42.3  41
51.2  20
52.6  39
53.1  39
62.2  17
68.9  17
70.1  17

Crystal structure
```
11
Lattice="2.986 1.724 6.343 -2.986 1.724 6.343 0.000 -3.448 6.343" Properties=species:S:1:pos:R:3 pbc="T T T"
Ba 0.000 0.000 3.924
Ba 0.000 0.000 15.103
Al 0.000 0.000 7.987
Al 0.000 0.000 11.040
Bi 0.000 0.000 0.000
O -1.490 -0.860 10.949
O 0.000 -1.720 8.079
O -1.490 0.860 8.079
O 1.490 -0.860 10.949
O 0.000 1.720 10.949
O 1.490 0.860 8.079
```
- - -

So ya, he just loves people.

Loves his brothers too!

Loves his brothers too!

But here’s the story I’ve been meaning to share for a while now. One that really touches my heart every time I think of it.

We attend church, and after church (pre-COVID - that’s the time line for things now), everyone would head over to the Cafe in the church to grab lunch, coffee, and to hang out and talk.

I had all the kids with me and I was talking with a friend. As we were chatting, Liam left my side (of course he did!) and walked over to where a homeless man was sitting, eating his lunch all alone at a table. (Our church has a wonderful homeless ministry, and I’m so glad they feel welcome there!)

Liam noticed that the man was alone, and wanted to talk to him. At this point, I stopped talking to my friend and took a few steps closer to hear what Liam had to say. Liam walked up to the man with a touch of his arm and a hello as a greeting, and took a seat across from him. He asked him his name. Then told him his, “I’m Liam!”. Then proceeded to barrage him with all the questions: “What are you eating?”, “Why?”, “Do you have a cat?”, “Do you have a dog?” “Why”, “I’m Liam!”, “What’s your name?”… Liam really likes to repeat questions a LOT.

The man smiled and said something to him, and Liam laughed and laughed, and went on with more questions, and even some high fives.

**The text is interrupted by data records**
____________
Simulated powder diffraction line list of LaCeBN3 for a wavelength of 1.5418 Å, from a crystal structure in Alexandria, relaxed with PBE.
Lines closer than 0.1° are merged.

Atomic structure:
Cell: 5.5674 5.5674 6.6472 Å, 90.00 90.00 120.00°
Sites, in units of the cell vectors:
La 0.3333 0.6667 0.2500
La 0.6667 0.3333 0.7500
Ce 0.0000 0.0000 0.0000
Ce 0.0000 0.0000 0.5000
B 0.3333 0.6667 0.7500
B 0.6667 0.3333 0.2500
N 0.1813 0.3625 0.7500
N 0.1813 0.8187 0.7500
N 0.3625 0.1813 0.2500
N 0.6375 0.8187 0.7500
N 0.8187 0.1813 0.2500
N 0.8187 0.6375 0.2500

Largest 12 diffraction maxima, low angle first, 10° ≤ 2θ ≤ 80°:
| hkl | Position (°2θ) | I (rel.) |
| --- | --- | --- |
| 1 0 0 | 18.40 | 23 |
| 1 0 1 | 22.78 | 51 |
| 1 1 0 | 32.16 | 88 |
| 1 0 2 | 32.73 | 100 |
| 2 0 1 | 39.77 | 28 |
| 2 0 2 | 46.54 | 45 |
____________

As I’m watching this my eyes started to water, and I looked around to a few others who had also witnessed this and were wiping away their own tears. This right here. THIS. This is what it’s all about, this is what we are supposed to be doing! It was such an incredible and yet so simple example of love.

Does it matter what clothes someone is wearing?

Does it matter how much money someone has or does not have?

Does it matter what someone has done in their past?

Does it matter what skin color someone has?

Does it matter what society might try to tell you about a group of people?

NO! God loves and created uniquely every single person on this planet, AND DIED for them! And tells us we should love them just the same, no matter what! Go befriend someone who needs it. Talk and listen to someone who is different than you. Love on someone who might be considered “less than” by some.

(oops, did I get a little preachy there?)

I am so grateful for that moment, and Liam’s example of love. I learned a lot from him and still do. Don’t worry, I did go over and rescue the nice man from Liam’s non-stop questioning, and was able to meet and talk with him as well. ❤️

John 13:34 “A new command I give you: Love one another. As I have loved you, so you must love one another.


The family moves across country…. again!


Eternal Perspectives